About Heidi Robinson
Heidi Robinson’s healing journey is a story of finding self love. Her main goal in life was to find love, health and happiness. This was a slow burning journey of ups and downs with many lessons learned. It was not until she found Peiec® Energy Medicine at the start of 2020 when her healing became fast-tracked, as she was empowered with simple and highly effective tools to make lasting changes in all areas of her life. One of the most significant changes for her, was simply the way she sees herself. Someone worthy of being heard and someone who has much value to give.
As a qualified Myotherapist with a love of anatomy & physiology, Heidi spent many years treating people in Clinic for their aches and pains, but always saw another side to her client. Their moods, emotions and stresses. These were things she felt she could never really help with, yet knew it was potentially affecting their physical symptoms. She felt limited to the amount of healing she could offer with this modality alone.
In 2010, she became a Bikram Yoga teacher. A style of yoga that deeply resonated with her. Highly structured, simple, safe and inclusive for everyone, no matter how broken one may feel. She saw transformations in her students daily but the biggest of all, was her own. It was a regular, consistent practise of yoga that broke many of her self-sabotaging choices in her life and she found the confidence to want to start respecting herself more. This slow burn of self love opened her enough to find the love of another. Heidi met her husband Toby and they live in Perth with their 3 beautiful boys and Lenny the cat!
Feeling loved, healthy and happy Heidi noticed an increased yearning for a spiritual connection. Turning to religion did not resonate with her and when she read about Anandi Sano and Peiec® Healing, she knew this was it. From this point on, Heidi’s healing has been exponential. Shifting her away from anxiety, fear and the need to control, to a place of calm and inner stillness. She is able to be present with her family and hold space for them when they need support and understanding. The depth of beauty and joy that surrounds her is getting richer and the connections in her life are becoming more meaningful and aligned to her purpose.
Peiec® Energy Medicine has allowed Heidi to connect to the person she was born to be. Releasing the un-truth that was holding her bound and learning to stand in a place of her own truth - where her thoughts, words and actions come from presence and pure connection. It is from this place that healing flows. Heidi feels limitless, abundant and finally able to stand in reverence to Self and Source. She has a deep ‘knowing’ that she is here to heal herself and the work she does on this, will naturally flow out to all around her. A cascade of positive change.
Heidi is currently a Level 1 Peiec® Practitioner and a Level 1 Coach with Peiec® Energy Medicine. She has undertaken training in Peiec® Modules 1 - 5 and has attended many of Anandi Sano’s in-person and online retreats as well as her evening healing events. It has been her commitment to these events and training that Heidi’s personal healing has deepened quickly and effectively. The more she heals, the more she feels comfortable to step into change and opportunity for herself and others. This expansion is exciting as she sees the potential of global healing as more people awaken to the possibility of change within their own lives.
Heidi loves her work as a Peiec® Practitioner and also continues to teach yoga regularly. Her teaching style is shifting to a more creative, intuitive practise that encourages presence and a gentleness to assist the ease and flow of movement. This can be amplified if students wish to go through the Peiec® Module 1 training. They will be able to feel shifts within their own energy throughout their class and can then use the tools they have learnt, to create deeper healing for themselves. Being able to coach and support people through their Peiec® Module 1 training is a huge honour for Heidi and she looks forward to walking alongside those who wish to start their journey, so they too can feel what she feels.

About Heidi Robinson
Heidi Robinson’s healing journey began as a story of finding self-love. Her main goal in life was to find love, health, and happiness. This was a slow-burning journey of ups and downs with many lessons learned. It was not until she found Anandi Sano and her teachings at the start of 2020 that her healing became fast-tracked, as she was empowered with simple and highly effective tools to make lasting changes in all areas of her life. One of the first and most significant changes Heidi had through this work was how she saw herself - someone worthy of being heard and someone with much value to give.
As a qualified Myotherapist with a love of anatomy & physiology, Heidi spent many years treating people in a clinic for their aches and pains but always saw another side to her client. Their moods, emotions, and stresses. These were things she felt she could never really help with, yet believed it was potentially affecting their physical symptoms. She felt limited by the healing she could offer with this modality alone.
In 2010, she became a Bikram Yoga teacher. A style of yoga that deeply resonated with her. Highly structured, simple, safe, and inclusive for everyone, no matter how broken one may feel. She saw transformations in her students daily but the biggest was her own. It was a regular, consistent practice of yoga that broke many of her self-sabotaging choices in her life and she found the confidence to want to start respecting herself more. This slow burn of self-love opened her enough to find the love of another. Heidi met her husband Toby and they live in Perth with their 3 beautiful boys and their cat Lenny!
Feeling loved, healthy, and happy Heidi noticed an increased yearning for a deeper connection to herself, the Universe or something she could not put words to! She read all the books on self-development and spirituality. Turning to religion did not resonate with her either, so when she read about Anandi Sano and the Sano method of Peiec®, she knew this was it. She felt a resonance with the teachings and could feel tangible, beautiful energy within Anandi's work - from her social media posts, podcasts, and YouTube videos... It was like nothing else she had ever experienced before.
Next to the entry, the page also holds data records:
<<<
No. 1
DFT (ωB97M-V/def2-TZVPD) results for a 2-piece molecular cluster, C3H10N3S overall in a non-equilibrium geometry.

As for the charge: +1. The HOMO energy is -0.47721 Ha. The calculation puts the energy above the lowest of the compared OMol25 structures with the same formula, charge and spin at 54.6 kcal/mol. As for the multiplicity: 1.

Last column: Mulliken charge in e.
Atoms and positions in Å:
C -0.785 0.124 0.470  0.21
C -1.807 -0.900 2.616  -1.05
C -1.845 0.051 1.458  0.10
N 2.083 0.892 -1.560  -0.53
N -0.131 -0.322 -0.538  -0.27
N 2.247 0.309 -2.901  -0.53
S -0.598 1.453 1.486  -0.03
H -2.020 -0.368 3.543  0.32
H -2.574 -1.662 2.489  0.34
H -0.836 -1.383 2.708  0.35
H -2.836 0.389 1.163  0.39
H -0.430 -1.171 -1.006  0.25
H 2.957 0.689 -1.074  0.27
H 0.777 0.210 -0.911  0.40
H 2.347 -0.701 -2.802  0.25
H 1.399 0.489 -3.435  0.26
H 2.053 1.901 -1.707  0.27

=====

No. 2
DFT (ωB97M-V/def2-TZVPD) results for a 11-piece molecular cluster, C42H106O33S8 overall in a non-equilibrium geometry.

As for the charge: +1. The HOMO energy (spin up / spin down) is -0.37708 / -0.37708 Ha. As for the multiplicity: 2.

Last column: Mulliken charge in e.
Atoms and positions in Å:
O -0.339 -2.389 -6.352  -0.59
S -0.315 -0.967 -6.108  1.05
O -1.320 -0.122 -6.719  -0.59
O -0.423 -0.684 -4.496  -0.14
C 0.211 -1.517 -3.607  1.00
C -0.873 -2.229 -2.810  -1.22
C 1.386 -0.232 -6.312  -0.73
H 0.796 -0.852 -2.971  -0.21
H 0.834 -2.344 -3.951  -0.07
H -1.439 -3.004 -3.327  0.43
H -1.507 -1.571 -2.217  -0.26
H -0.210 -2.699 -2.084  0.40
H 1.648 -0.343 -7.364  0.50
H 2.102 -0.591 -5.572  0.17
H 1.294 0.845 -6.175  0.12
O 2.446 2.442 6.700  -0.63
S 1.717 2.924 5.524  1.03
O 1.649 2.130 4.316  -0.26
O 0.170 3.210 6.061  -0.36
C -0.832 3.430 5.004  0.65
C -2.254 3.932 5.601  -1.08
C 2.225 4.613 5.094  -1.01
H -0.973 2.440 4.569  -0.49
H -0.419 4.078 4.231  0.40
H -2.104 4.643 6.414  0.35
H -2.808 3.069 5.973  0.08
H -2.932 4.381 4.875  0.36
H 1.570 4.991 4.309  0.28
H 3.240 4.633 4.698  0.35
H 2.177 5.179 6.025  0.39
O -1.069 2.575 1.569  -0.77
S -0.878 1.106 1.775  1.21
O -1.139 0.482 3.064  -0.32
O -1.725 0.319 0.605  0.16
C -1.640 0.783 -0.654  -0.03
C -3.051 0.582 -1.295  -1.57
C 0.762 0.675 1.254  -0.39
H -0.863 0.163 -1.103  0.20
H -1.192 1.764 -0.809  0.36
H -3.429 -0.439 -1.348  0.38
H -2.958 0.839 -2.350  0.48
H -3.748 1.251 -0.791  0.08
H 0.593 -0.307 0.812  0.40
H 1.263 0.745 2.219  0.30
H 1.149 1.392 0.530  -0.26
O -7.985 0.769 3.365  -0.57
S -7.823 1.566 2.174  1.15
O -8.472 2.878 2.094  -0.64
O -6.223 1.737 1.951  -0.20
C -5.714 2.693 1.045  -0.32
C -4.188 2.733 1.144  -0.96
C -8.140 0.625 0.625  -0.97
H -6.045 3.702 1.292  0.31
H -5.932 2.458 0.004  0.28
H -3.763 1.736 1.260  -0.13
H -3.911 3.496 1.872  0.42
H -3.741 3.229 0.283  0.46
H -9.199 0.372 0.566  0.41
H -7.518 -0.258 0.476  0.28
H -7.975 1.242 -0.258  0.37
O 2.573 1.403 -3.736  -0.59
S 1.623 2.298 -3.034  0.61
O 1.052 1.886 -1.758  -0.27
O 2.435 3.720 -2.767  -0.15
C 1.855 4.654 -1.835  -0.08
>>>
From this point on, Heidi’s healing has been exponential. It shifted her away from anxiety, fear, and the need to control, to feeling content, calm, and peaceful. She can be more present with people and hold space for them in conversation or when teaching yoga. The depth of beauty and joy surrounding her is getting richer and the connections in her life are becoming more meaningful and aligned with her purpose.
Healing using the Sano method of Peiec® has allowed Heidi to connect to the person she was born to be. Releasing the un-truth holding her bound and learning to stand in a place of her truth - where her thoughts, words, and actions come from presence and pure connection. Heidi feels limitless, abundant, and finally able to give reverence to Self and Source. She has a deep ‘knowing’ that she is here to heal herself and the work she does on this, will naturally flow out to all around her.
Heidi works 1:1 with clients in person in Scarborough, Perth WA, and online via a video call. She helps people find balance in health, contentment, and purpose. She has undertaken training in Peiec® Modules 1 - 9 through Anandi's Absolute Consciousness Program and is currently completing her Advanced Practitioner Certification. She has attended most of Anandi Sano’s retreats and healing events. Through her commitment to these events and training, Heidi’s healing has deepened quickly and effectively. The more she heals, the more she feels comfortable stepping into change and opportunity. This expansion is exciting as she hopes to assist as many people as possible to find the depth of healing they yearn for.
Heidi loves to work with people ready for healing and change. Ready to step into the beauty of life rather than be stuck in their circumstances. Regular peiec sessions are an invaluable investment at any stage of your healing journey. Heidi provides a safe space to explore the beauty of healing with the Sano method of Peiec®. There is no judgment, minimal talking, and no recounting of stories. It is very different from most talk-based therapies.
Heidi continues to teach yoga regularly. Her teaching is a present, intuitive practice that encourages gentleness and self-awareness to create ease and flow of movement and energy through the body.
One's ability to heal, feel energy within, and connect to self is accelerated by attending any events Anandi Sano offers. Healing happens in her presence. She shares and teaches the wisdom given to her in purity straight from Source, for accelerated healing and growth. Attending Peiec Module 1, Intensives, or joining the Sano Academy is something I highly recommend to anyone ready to expand their consciousness exponentially.
Anandi Sano is the most incredible teacher, guide, and mentor.
Extraordinary things happen in her presence.
Please click here for more details.
What is The Sano Method of Peiec®?
Transform to Inner Stillness
Peiec® (pronounced peak) represents the 5 energetic layers of self - physical, emotional, intellect, energetic & Core. Core is a place we can all access when we are in pure presence, flowing Universal Source energy throughout our energetic layers of self.
Core is our connection to everything and everyone
The Sano Method of Peiec® is a powerful, yet gentle form of healing that releases energetic clusters found within the layers of self, called life moments. These life moments restrict the flow of energy within our energetic layers. When they are triggered and rise up in the layer, they accumulate. Eventually, there is no room in the layers so they push out to our physical vessel, our body - affecting all of the body systems and the mind. This causes illness, pain, anxiety, overwhelm, anger, and disconnect. This is exactly how we live our lives, responding to the activation of these life moments. They affect how we think, act, and speak keeping us stuck in patterns of behaviour and cycling emotions, stopping us from living our true potential.
Through the work of the Sano method, releasing life moments from your energetic layers creates more space, and with more space, it becomes easier to remain in Core and your Source energy can flow freely. Now, how you act, speak, and think comes from the truth of who you are.
Your life begins to transform!
When we are in Core, we are in tune with our inner guidance and intuition. When our energy vibrates at this level, we have a higher state of consciousness where peace, beauty, abundance, clarity, connection, and contentment permeate within us...
The Sano method of Peiec® is a simple and highly effective way to transform your life. It is the fast track to deep healing and raising your consciousness. Peiec® empowers you with the tools to heal without relying on anything external to yourself. At any stage of your healing, you can seek the assistance of a peiec® practitioner or support from the incredible peiec® community.
Heidi is honoured to be able to support you as you heal, grow, and expand your consciousness.
She offers private peiec® sessions in-person or distantly via a video call.
Please book online or text for a session with her today.